Oats - useful properties

Cereals give nature a unique set of vitamins and minerals. Ripening under the sun, oats absorb all the useful properties and, when eaten, helps to improve our body. It is often used for weight loss and for cosmetic purposes.

Oats are famous for their weight loss not only with their cereals, but also with stems. It is easy to grow it under the window or at the dacha, as it is very unpretentious.

Inserted here: data records:
+++
[1]
Entry from the OMol25 dataset: a structure of composition C22H23N5O3V (ωB97M-V/def2-TZVPD).

Its HOMO-LUMO gap (spin up / spin down) is 6.516 / 5.821 eV. The calculation puts the total energy at -62470.587 eV. The HOMO energy (spin up / spin down) comes out at -5.9 / -5.2 eV. As for the expectation value of S²: 0.78.

Structure (ORCA input):
```
! wB97M-V def2-TZVPD RIJCOSX def2/J DEFGRID3
* xyz 0 2
V 0.918 -0.094 -0.652
O 2.663 0.228 0.080
C 3.556 1.207 0.035
C 4.837 0.959 0.548
C 5.811 1.937 0.535
C 5.539 3.200 0.015
C 4.280 3.456 -0.496
C 3.276 2.483 -0.499
C 1.966 2.782 -1.088
N 0.995 1.925 -1.343
C -0.024 2.647 -1.937
C 0.336 3.950 -2.033
N 1.598 4.030 -1.494
H 5.033 -0.023 0.957
H 6.795 1.716 0.932
H 6.299 3.969 -0.001
H 4.089 4.438 -0.913
H -0.929 2.155 -2.249
H -0.175 4.809 -2.429
H 2.141 4.863 -1.382
O -0.827 -0.443 -1.418
C -1.766 -1.357 -1.257
C -3.046 -1.099 -1.774
C -4.072 -2.012 -1.633
C -3.858 -3.222 -0.975
C -2.597 -3.501 -0.479
C -1.539 -2.596 -0.613
C -0.211 -2.928 -0.078
N 0.836 -2.124 0.007
C 1.853 -2.861 0.590
C 1.413 -4.116 0.853
N 0.106 -4.155 0.428
H -3.192 -0.166 -2.302
H -5.050 -1.784 -2.041
H -4.661 -3.937 -0.855
H -2.445 -4.448 0.025
H 2.815 -2.413 0.769
H 1.899 -4.969 1.293
H -0.499 -4.953 0.450
C -2.776 1.653 0.403
N -2.482 0.519 1.259
C -3.578 -0.362 1.628
C -1.206 0.257 1.604
C -0.964 -0.945 2.487
O -0.270 0.984 1.257
H -3.240 1.312 -0.524
H -1.849 2.167 0.171
H -3.458 2.344 0.905
H -4.481 0.003 1.145
H -3.750 -0.371 2.706
H -3.408 -1.384 1.283
H -1.586 -0.915 3.383
H 0.086 -0.945 2.762
H -1.197 -1.869 1.957
*
```

[2]
Entry from the OMol25 dataset: the molecule C10H11N3O (ωB97M-V/def2-TZVPD).

Its HOMO-LUMO gap is 7.615 eV. The calculation puts the total energy at -17061.656 eV. The HOMO energy comes out at -7.4 eV. For the energy above the lowest of the compared OMol25 structures with the same formula, charge and spin, the calculation gives 107.8 kcal/mol.

Structure (ORCA input):
```
! wB97M-V def2-TZVPD RIJCOSX def2/J DEFGRID3
* xyz 0 1
C 3.133 -1.508 -0.546
C 2.597 -1.708 0.760
C 2.620 -0.453 -1.273
C 1.461 -1.035 1.147
C 1.538 0.277 -0.864
C 1.023 0.009 0.394
C -1.992 -0.215 -0.877
C -3.413 -0.313 -0.789
C -0.103 2.209 0.758
C -0.115 0.756 0.938
N -2.672 0.505 1.165
N -4.255 -0.737 -1.605
N -1.709 0.242 0.314
O -3.747 -0.040 0.521
H 4.088 -1.933 -0.712
H 3.229 -2.445 1.355
H 3.059 -0.234 -2.278
H 1.132 -1.242 2.154
H 1.169 0.981 -1.529
H -1.361 -0.538 -1.679
H -0.768 2.704 1.433
H -0.500 2.481 -0.243
H 0.894 2.563 0.743
H -0.165 0.502 1.985
H -5.142 -0.830 -1.272
*
```

[3]
Entry from the OMol25 dataset: the molecule C6H7N (ωB97M-V/def2-TZVPD).

The SMILES is C1[C@@H]2[C@H]3[C@@H]2N2[C@H]3[C@H]12. Its HOMO-LUMO gap is 10.002 eV. The calculation puts the total energy at -7820.088 eV. The HOMO energy comes out at -8.9 eV. For the energy above the lowest of the compared OMol25 structures with the same formula, charge and spin, the calculation gives 128.2 kcal/mol.

Structure (ORCA input):
```
+++

Useful components for weight loss

Oat-forming minerals and substances useful for the organism act on different levels. In complex they help the tissues to get rid of excess stocks, reduce weight, improve the body and relax the nervous system, the unique vitamin composition takes care of the skin.

  1. Weight loss with the help of oats is based on the content in it of a rare natural enzyme that selectively acts on carbohydrates, helps to split them up to the smallest particles that are easily processed into energy and do not cause superfluous deposits. With daily use of this valuable cereal for food, normalization of carbohydrate metabolism takes place, excess weight goes away. Due to this enzyme, patients with diabetes recommend meals from oats.
  2. The presence of polyphenols in oats, activates fat metabolism, tissues lose their stores and weight decreases. Also, these substances facilitate the contraction of muscles, which is important when practicing fitness.
  3. The high content of magnesium in oats calms the nervous system, it has a beneficial effect on the emotional background. It's important for weight-losing people to have a cheerful spirit and full confidence in their abilities. This mineral is important for strengthening the heart muscle and the walls of blood vessels. Therefore, oatmeal products are important to eat in diets, as well as pregnant and elderly people.
  4. Oats contain diuretic substances that have useful properties for weight loss. Thanks to them, the body gets rid of only excess water in tissues, without affecting the valuable intercellular fluid.
  5. Ingredients that make up oats remove slags and normalize metabolic processes. Dishes on its basis help to lose together with excess weight slags and toxins.
  6. The huge fiber content causes the gastrointestinal tract to work correctly and actively. With increased peristalsis, all excess is excreted from the body.

Other useful properties

The vitamins A and E contained in the oats are balanced so that they take care of the skin's health. The skin becomes natural youth, its tone and elasticity are restored.

From old times it has been noticed that oats have useful properties for the stomach. Its composition suppresses excessive acidity, thereby calming the irritated mucous membrane. Anti-inflammatory effect is achieved by proper splitting of food. It is oatmeal on the water, the most sparing food for gastritis and ulcers.

Pantothenic acid helps digest food and facilitates the work of the stomach. Its composition does not increase the pH-balance, but only helps splitting the products to small particles that are easily absorbed by the body. When losing weight with the help of oats, this mechanism is very important, since the smallest particles give energy and strength and do not lead to a surplus accumulation.

A large amount of calcium in the cereal, takes care of bone tissue, which is very important with diets. Contained in oats, inositol fights with atherosclerotic plaques in the vessels and normalizes the pressure.

Weight loss recipes based on oats

Oat bran is widely used for weight loss. Coarse grinding provides good work of the intestines, removes all the slag. Thanks to these actions the metabolism is maximally activated, and the body is adjusted for weight loss.

Porridge from bran is cooked for about an hour on the water. Use it better in the morning, because in the evening such food can cause bloating and discomfort.

Decoction of oats is prepared simply. 1-2 glasses of grains are brewed in 1 liter of water, allowed to stand for 20 minutes and take half a cup 3 times a day.

Products from oats are diverse and have long been established in our kitchen. Its useful properties not only improve the body, but are indispensable in losing weight.